Cody Rhodes has experienced a ton over his professional wrestling career.

He's been a golden boy son of a Hall of Famer who signed up with the world's biggest promotion of all time, a mid-carder with a bad gimmick who asked for his release in a vastly different landscape, an indie Superstar who built up the most viable challenger to WWE in over 20 years, and ultimately returned where it all began so he could become the WWE Champion.

So naturally, when asked about the red flags he's experienced in the various locker rooms he's passed through over the years in an interview with Jonathan Coachman on Behind The Turnbuckle, Rhodes let it be known that he isn't a fan of “legendary” wrestlers who want to help the young guys out, as they often use that mentality to push a hidden agenda.

“The number one red flag I hear. If you meet a guy who is a legend who is coming in on the roster and he's going to be active, or a part-time guy, the number one red flag if you're young or in the middle of the pack (as a) talent is when you hear somebody say, ‘I'm just here for the young guys.' I already know. You're not just here for the young guys,” Cody Rhodes explained via Fightful.

“I would rather you tell me straight up, ‘I'm here for some of ya'll, and I'm here for myself.' This a selfish, competitive business. I like the most transparent people. ‘Here's what I'd like to do, let's do it.' Whenever I hear, ‘I'm here for the young guys,' which is not often and not anytime soon I've heard it. In my mind, instantly, I'm like, ‘That's the biggest red flag ever. I'd rather him tell them he's just here for himself.'”

Is this a shot at someone in particular, be that his original AEW rival Chris Jericho, who is currently working a “Learning Tree” gimmick, “Edge” Adam Copeland, who has said the same thing about his run in Tony Khan's company, or even CM Punk who famously used the line in an interview around the beginning of Collision? It's impossible to know, but based on the reaction online, it's safe to say fans and wrestlers alike are having a field day with the comments.

Cody Rhodes reflects on his moment with John Cena at WrestleMania.

Elsewhere on his appearance on Behind The Turnbuckle with Jonathan Coachman, Cody Rhodes reflected on his big moment at WrestleMania 40 and how he was able to secure the WWE Championship with a little help from Seth Rollins, The Undertaker, and John Cena.

While Rhodes clearly has a deep love for the show, as it will likely go down as the defining moment of his professional wrestling career, it meant so much more because he was able to do it in front of “The Face That Runs The Place,” who the “American Nightmare” has based his career around.

Crystal structures from another source follow:
<<<
No. 1
# HgOsCl2 | Alexandria | PBE-GGA | relaxed
# Energy above the lowest structure with this stoichiometry (meV per atom): 1141.6
# Formation energy (no corrections) (eV per atom): 1.224
# Total moment (μB per cell): 2.72
# N(E_F) (states/eV per atom): 1.191
# SG: F-43m
data_HgOsCl2
_cell_length_a 4.8766
_cell_length_b 4.8766
_cell_length_c 4.8766
_cell_angle_alpha 60.00
_cell_angle_beta 60.00
_cell_angle_gamma 60.00
_space_group_name_H-M_alt 'P 1'
_space_group_IT_number 1
_space_group_name_Hall 'P 1'
loop_
_atom_site_label
_atom_site_type_symbol
_atom_site_fract_x
_atom_site_fract_y
_atom_site_fract_z
Hg1 Hg 0.0000 0.0000 0.0000
Os1 Os 0.2500 0.2500 0.2500
Cl1 Cl 0.5000 0.5000 0.5000
Cl2 Cl 0.7500 0.7500 0.7500



No. 2
# HgOs4Cl | Alexandria | PBE-GGA | relaxed
# Formation energy (no corrections) (eV per atom): 1.465
# Total moment (μB per cell): 3.30
# N(E_F) (states/eV per atom): 2.018
# SG: F-43m
data_HgOs4Cl
_cell_length_a 5.3035
_cell_length_b 5.3035
_cell_length_c 5.3035
_cell_angle_alpha 60.00
_cell_angle_beta 60.00
_cell_angle_gamma 60.00
_space_group_name_H-M_alt 'P 1'
_space_group_IT_number 1
_space_group_name_Hall 'P 1'
loop_
_atom_site_label
_atom_site_type_symbol
_atom_site_fract_x
_atom_site_fract_y
_atom_site_fract_z
Hg1 Hg 0.0000 0.0000 0.0000
Os1 Os 0.1259 0.6247 0.6247
Os2 Os 0.6247 0.1259 0.6247
Os3 Os 0.6247 0.6247 0.1259
Os4 Os 0.6247 0.6247 0.6247
Cl1 Cl 0.2500 0.2500 0.2500



No. 3
# HgOsCl2 | Alexandria | PBE-GGA | relaxed
# Energy above the lowest structure with this stoichiometry (meV per atom): 889.4
# Formation energy (no corrections) (eV per atom): 0.972
# Total moment (μB per cell): 0.76
# N(E_F) (states/eV per atom): 0.869
# SG: P2/m
data_HgOsCl2
_cell_length_a 4.6988
_cell_length_b 3.0792
_cell_length_c 5.4015
_cell_angle_alpha 90.00
_cell_angle_beta 109.01
_cell_angle_gamma 90.00
_space_group_name_H-M_alt 'P 1'
_space_group_IT_number 1
_space_group_name_Hall 'P 1'
loop_
_atom_site_label
_atom_site_type_symbol
_atom_site_fract_x
_atom_site_fract_y
_atom_site_fract_z
Hg1 Hg 0.0000 0.0000 0.0000
Os1 Os 0.0000 0.5000 0.5000
Cl1 Cl 0.5000 0.0000 0.5000
Cl2 Cl 0.5000 0.5000 0.0000

=====

# 1
## Li3Co4WO8 (PBEsol)

Data for a relaxed structure of Li3Co4WO8.

**Fermi-level density of states**: 0.631 states/eV per atom
**Mass density**: 6.6 g/cm3
**Space-group type**: C2/m, No. 12
**Magnetic moment**: 0.67 μB per atom
**ΔE_f (raw)**: -128.3 kJ per mole of atoms

Lattice parameters (Å, degrees): 5.875 5.875 5.803 92.33 117.91 119.84
Each line ends with the local moment (μB).
Sites, in units of the cell vectors:
Li (0.000, 0.500, 0.000)  0.01
Li (0.500, 0.000, 0.000)  0.01
Li (0.500, 0.000, 0.500)  0.00
Co (0.000, 0.000, 0.000)  2.35
Co (0.000, 0.000, 0.500)  2.42
Co (0.500, 0.500, 0.500)  2.42
Co (0.000, 0.500, 0.500)  2.36
W (0.500, 0.500, 0.000)  -0.13
O (0.497, 0.742, 0.239)  0.09
O (0.501, 0.743, 0.771)  0.12
O (0.028, 0.270, 0.771)  0.12
O (0.503, 0.258, 0.761)  0.09
O (0.014, 0.252, 0.266)  0.24
>>>
So much for the crystal structures:

“It's probably really easy for me to say WrestleMania 40 itself. Both nights. There is a particular moment at WrestleMania 40 that will stick with me forever. It's not necessarily the one, two, three as much as I was really big under the learning tree and a student of John Cena's. I liked his model, from a businessman, as a babyface character in wrestling. More than that, I liked the model and the standard he set as a human being. As a good ambassador for wrestling. As an authentic ambassador,” Cody Rhodes explained via Fightful.

“Our fans can smell when this is not authentic. He was the right person for that job. We're in the ring, and Undertaker and Rock have their moment. John is off camera against the back wall, watching the end of Roman and I, as we're both coming up. I just got to make eye contact with John. I don't think I've ever learned anything more in my life than just the moment of eye contact with the captain, the leader, the dude. He's out here to be part of this for me. It's super touching. Having that moment with him, just brief contact, knowing I'm about to turn around and what's about to happen, that's the high of highs.”

From the Make-A-Wish appearances, to the merchandising, and especially his interactions with the WWE Universe, it's clear Rhodes is a certified disciple of Cena right down to his refusal to turn heel. While only time will tell if Rhodes has the same success long-term or if he will pull a Hollywood Hogan and turn to the dark side once more, it's clear he's committed to pushing down that path for the foreseeable future.